What to do =
Your job: restate the whole of the rows below without additions.
Data =
~~~
BaDy2Sc after structural relaxation, computed with GGA-PBE.

Cell and atoms, written as POSCAR:
```
BaDy2Sc
1.0
3.5454 0.0000 0.0000
-1.7727 3.0704 0.0000
0.0000 0.0000 37.5090
Ba Dy Sc
3 6 3
Direct
0.0000 0.0000 0.0000 Ba
0.3333 0.6667 0.6667 Ba
0.6667 0.3333 0.3333 Ba
0.0000 0.0000 0.0963 Dy
0.0000 0.0000 0.9037 Dy
0.3333 0.6667 0.5703 Dy
0.3333 0.6667 0.7630 Dy
0.6667 0.3333 0.2370 Dy
0.6667 0.3333 0.4297 Dy
0.0000 0.0000 0.5000 Sc
0.3333 0.6667 0.1667 Sc
0.6667 0.3333 0.8333 Sc
```

ΔE to the lowest computed polymorph = 0.097 eV per atom
SG = R-3m, No. 166
Crystal system = trigonal
Formation energy from the elements = 0.25 eV per atom
Calculated density = 6.2 Mg/m³



BaDy4ScSe8 after structural relaxation, computed with GGA-PBE.

Cell and atoms, written as POSCAR:
```
BaDy4ScSe8
1.0
4.3156 2.4916 6.8151
-4.3156 2.4916 6.8151
0.0000 -4.9832 6.8151
Ba Dy Sc Se
1 4 1 8
Direct
0.0000 0.0000 0.0000 Ba
0.3806 0.3806 0.8912 Dy
0.3806 0.8912 0.3806 Dy
0.7604 0.7604 0.7604 Dy
0.8912 0.3806 0.3806 Dy
0.3829 0.3829 0.3829 Sc
0.1475 0.1475 0.1475 Se
0.1578 0.6236 0.6236 Se
0.1607 0.1607 0.5767 Se
0.1607 0.5767 0.1607 Se
0.5767 0.1607 0.1607 Se
0.6236 0.1578 0.6236 Se
0.6236 0.6236 0.1578 Se
0.6261 0.6261 0.6261 Se
```

SG = R3m, No. 160
Crystal system = trigonal
Calculated density = 5.5 Mg/m³
Formation energy (no corrections) = -1.74 eV per atom



Ba3Dy3ScSe8 after structural relaxation, computed with GGA-PBE.

Cell and atoms, written as POSCAR:
```
Ba3Dy3ScSe8
1.0
4.1824 2.4147 7.5344
-4.1824 2.4147 7.5344
0.0000 -4.8295 7.5344
Ba Dy Sc Se
3 3 1 8
Direct
0.0000 0.5000 0.5000 Ba
0.5000 0.0000 0.5000 Ba
0.5000 0.5000 0.0000 Ba
0.0000 0.0000 0.5000 Dy
0.0000 0.5000 0.0000 Dy
0.5000 0.0000 0.0000 Dy
0.5000 0.5000 0.5000 Sc
0.2377 0.2377 0.2377 Se
0.2435 0.7307 0.7307 Se
0.2693 0.2693 0.7565 Se
0.2693 0.7565 0.2693 Se
0.7307 0.2435 0.7307 Se
0.7307 0.7307 0.2435 Se
0.7565 0.2693 0.2693 Se
0.7623 0.7623 0.7623 Se
```

SG = R-3m, No. 166
Crystal system = trigonal
Calculated density = 5.7 Mg/m³
Formation energy (no corrections) = -1.89 eV per atom



Ba3Dy3ScTe8 after structural relaxation, computed with GGA-PBE.

Cell and atoms, written as POSCAR:
```
Ba3Dy3ScTe8
1.0
4.4697 2.5806 8.0082
-4.4697 2.5806 8.0082
0.0000 -5.1611 8.0082
Ba Dy Sc Te
3 3 1 8
Direct
0.0000 0.5000 0.5000 Ba
0.5000 0.0000 0.5000 Ba
0.5000 0.5000 0.0000 Ba
0.0000 0.0000 0.5000 Dy
0.0000 0.5000 0.0000 Dy
0.5000 0.0000 0.0000 Dy
0.5000 0.5000 0.5000 Sc
0.2386 0.2386 0.2386 Te
0.2427 0.7333 0.7333 Te
0.2667 0.2667 0.7573 Te
0.2667 0.7573 0.2667 Te
0.7333 0.2427 0.7333 Te
0.7333 0.7333 0.2427 Te
0.7573 0.2667 0.2667 Te
0.7614 0.7614 0.7614 Te
```

SG = R-3m, No. 166
Crystal system = trigonal
Calculated density = 5.9 Mg/m³
Formation energy (no corrections) = -1.49 eV per atom



Ba2DyScTe5 after structural relaxation, computed with GGA-PBE.

Cell and atoms, written as POSCAR:
```
Ba2DyScTe5
1.0
2.3289 -9.5674 0.0000
2.3289 9.5674 0.0000
0.0000 0.0000 14.8080
Ba Dy Sc Te
4 2 2 10
Direct
0.1069 0.8931 0.5000 Ba
0.1431 0.8569 0.1228 Ba
0.8569 0.1431 0.6228 Ba
0.8931 0.1069 0.0000 Ba
0.2114 0.7886 0.8316 Dy
0.7886 0.2114 0.3316 Dy
0.4716 0.5284 0.2630 Sc
0.5284 0.4716 0.7630 Sc
0.0515 0.9485 0.8670 Te
0.2834 0.7166 0.4696 Te
0.3225 0.6775 0.1941 Te
0.3725 0.6275 0.8122 Te
0.4883 0.5117 0.5829 Te
0.5117 0.4883 0.0829 Te
0.6275 0.3725 0.3122 Te
0.6775 0.3225 0.6941 Te
0.7166 0.2834 0.9696 Te
0.9485 0.0515 0.3670 Te
```

SG = Cmc2_1, No. 36
Crystal system = orthorhombic
Calculated density = 5.6 Mg/m³
Formation energy (no corrections) = -1.50 eV per atom



BaDySe after structural relaxation, computed with GGA-PBE.

Cell and atoms, written as POSCAR:
```
BaDySe
1.0
14.4957 0.0000 0.0000
0.0000 4.1822 0.0000
0.0000 0.0000 7.2364
Ba Dy Se
4 4 4
Direct
0.1481 0.0000 0.0000 Ba
0.1481 0.5000 0.5000 Ba
0.8519 0.0000 0.0000 Ba
0.8519 0.5000 0.5000 Ba
0.3807 0.0000 0.6638 Dy
0.3807 0.5000 0.1638 Dy
0.6193 0.0000 0.6638 Dy
0.6193 0.5000 0.1638 Dy
0.0000 0.0000 0.6667 Se
~~~
Solution =
BaDy2Sc after structural relaxation, computed with GGA-PBE.

Cell and atoms, written as POSCAR:
```
BaDy2Sc
1.0
3.5454 0.0000 0.0000
-1.7727 3.0704 0.0000
0.0000 0.0000 37.5090
Ba Dy Sc
3 6 3
Direct
0.0000 0.0000 0.0000 Ba
0.3333 0.6667 0.6667 Ba
0.6667 0.3333 0.3333 Ba
0.0000 0.0000 0.0963 Dy
0.0000 0.0000 0.9037 Dy
0.3333 0.6667 0.5703 Dy
0.3333 0.6667 0.7630 Dy
0.6667 0.3333 0.2370 Dy
0.6667 0.3333 0.4297 Dy
0.0000 0.0000 0.5000 Sc
0.3333 0.6667 0.1667 Sc
0.6667 0.3333 0.8333 Sc
```

ΔE to the lowest computed polymorph = 0.097 eV per atom
SG = R-3m, No. 166
Crystal system = trigonal
Formation energy from the elements = 0.25 eV per atom
Calculated density = 6.2 Mg/m³



BaDy4ScSe8 after structural relaxation, computed with GGA-PBE.

Cell and atoms, written as POSCAR:
```
BaDy4ScSe8
1.0
4.3156 2.4916 6.8151
-4.3156 2.4916 6.8151
0.0000 -4.9832 6.8151
Ba Dy Sc Se
1 4 1 8
Direct
0.0000 0.0000 0.0000 Ba
0.3806 0.3806 0.8912 Dy
0.3806 0.8912 0.3806 Dy
0.7604 0.7604 0.7604 Dy
0.8912 0.3806 0.3806 Dy
0.3829 0.3829 0.3829 Sc
0.1475 0.1475 0.1475 Se
0.1578 0.6236 0.6236 Se
0.1607 0.1607 0.5767 Se
0.1607 0.5767 0.1607 Se
0.5767 0.1607 0.1607 Se
0.6236 0.1578 0.6236 Se
0.6236 0.6236 0.1578 Se
0.6261 0.6261 0.6261 Se
```

SG = R3m, No. 160
Crystal system = trigonal
Calculated density = 5.5 Mg/m³
Formation energy (no corrections) = -1.74 eV per atom



Ba3Dy3ScSe8 after structural relaxation, computed with GGA-PBE.

Cell and atoms, written as POSCAR:
```
Ba3Dy3ScSe8
1.0
4.1824 2.4147 7.5344
-4.1824 2.4147 7.5344
0.0000 -4.8295 7.5344
Ba Dy Sc Se
3 3 1 8
Direct
0.0000 0.5000 0.5000 Ba
0.5000 0.0000 0.5000 Ba
0.5000 0.5000 0.0000 Ba
0.0000 0.0000 0.5000 Dy
0.0000 0.5000 0.0000 Dy
0.5000 0.0000 0.0000 Dy
0.5000 0.5000 0.5000 Sc
0.2377 0.2377 0.2377 Se
0.2435 0.7307 0.7307 Se
0.2693 0.2693 0.7565 Se
0.2693 0.7565 0.2693 Se
0.7307 0.2435 0.7307 Se
0.7307 0.7307 0.2435 Se
0.7565 0.2693 0.2693 Se
0.7623 0.7623 0.7623 Se
```

SG = R-3m, No. 166
Crystal system = trigonal
Calculated density = 5.7 Mg/m³
Formation energy (no corrections) = -1.89 eV per atom



Ba3Dy3ScTe8 after structural relaxation, computed with GGA-PBE.

Cell and atoms, written as POSCAR:
```
Ba3Dy3ScTe8
1.0
4.4697 2.5806 8.0082
-4.4697 2.5806 8.0082
0.0000 -5.1611 8.0082
Ba Dy Sc Te
3 3 1 8
Direct
0.0000 0.5000 0.5000 Ba
0.5000 0.0000 0.5000 Ba
0.5000 0.5000 0.0000 Ba
0.0000 0.0000 0.5000 Dy
0.0000 0.5000 0.0000 Dy
0.5000 0.0000 0.0000 Dy
0.5000 0.5000 0.5000 Sc
0.2386 0.2386 0.2386 Te
0.2427 0.7333 0.7333 Te
0.2667 0.2667 0.7573 Te
0.2667 0.7573 0.2667 Te
0.7333 0.2427 0.7333 Te
0.7333 0.7333 0.2427 Te
0.7573 0.2667 0.2667 Te
0.7614 0.7614 0.7614 Te
```

SG = R-3m, No. 166
Crystal system = trigonal
Calculated density = 5.9 Mg/m³
Formation energy (no corrections) = -1.49 eV per atom



Ba2DyScTe5 after structural relaxation, computed with GGA-PBE.

Cell and atoms, written as POSCAR:
```
Ba2DyScTe5
1.0
2.3289 -9.5674 0.0000
2.3289 9.5674 0.0000
0.0000 0.0000 14.8080
Ba Dy Sc Te
4 2 2 10
Direct
0.1069 0.8931 0.5000 Ba
0.1431 0.8569 0.1228 Ba
0.8569 0.1431 0.6228 Ba
0.8931 0.1069 0.0000 Ba
0.2114 0.7886 0.8316 Dy
0.7886 0.2114 0.3316 Dy
0.4716 0.5284 0.2630 Sc
0.5284 0.4716 0.7630 Sc
0.0515 0.9485 0.8670 Te
0.2834 0.7166 0.4696 Te
0.3225 0.6775 0.1941 Te
0.3725 0.6275 0.8122 Te
0.4883 0.5117 0.5829 Te
0.5117 0.4883 0.0829 Te
0.6275 0.3725 0.3122 Te
0.6775 0.3225 0.6941 Te
0.7166 0.2834 0.9696 Te
0.9485 0.0515 0.3670 Te
```

SG = Cmc2_1, No. 36
Crystal system = orthorhombic
Calculated density = 5.6 Mg/m³
Formation energy (no corrections) = -1.50 eV per atom



BaDySe after structural relaxation, computed with GGA-PBE.

Cell and atoms, written as POSCAR:
```
BaDySe
1.0
14.4957 0.0000 0.0000
0.0000 4.1822 0.0000
0.0000 0.0000 7.2364
Ba Dy Se
4 4 4
Direct
0.1481 0.0000 0.0000 Ba
0.1481 0.5000 0.5000 Ba
0.8519 0.0000 0.0000 Ba
0.8519 0.5000 0.5000 Ba
0.3807 0.0000 0.6638 Dy
0.3807 0.5000 0.1638 Dy
0.6193 0.0000 0.6638 Dy
0.6193 0.5000 0.1638 Dy
0.0000 0.0000 0.6667 Se